# Assignment
Could you find "5.3930" and "8.40 eV" in the listing below, and quote these two lines and those between?
# Material
'''
# 1
# C9H14O

A 2-piece molecular cluster, C9H14O overall in a non-equilibrium geometry (ωB97M-V with the def2-TZVPD basis set, OMol25).

Each line ends with the natural charge from an NBO analysis.
Geometry (Å):
1 C -1.6279 -0.9861 -0.9666  -0.63
2 C -1.1029 0.0193 0.0345  -0.03
3 C -0.9488 1.3773 -0.2837  -0.20
4 C -0.3893 2.1757 0.6910  -0.25
5 C 0.1413 1.6768 1.8678  0.28
6 O 0.8492 2.4984 2.7180  -0.67
7 C 0.0477 0.3065 2.1248  -0.26
8 C -0.6516 -0.5217 1.2498  -0.20
9 H -0.9301 -1.8178 -1.0024  0.21
10 H -1.6569 -0.5949 -1.9873  0.21
11 H -2.6163 -1.4000 -0.7578  0.22
12 H -1.3182 1.6934 -1.2461  0.22
13 H -0.3310 3.2524 0.5467  0.22
14 H 1.5752 1.9703 3.0389  0.48
15 H 0.6751 -0.0396 2.9419  0.20
16 H -0.9383 -1.5496 1.4158  0.22
17 C 0.7283 -2.5817 -3.2418  -0.61
18 C 2.0907 -2.4171 -2.5116  -0.62
19 H -0.0984 -2.1213 -2.7199  0.21
20 H 0.8465 -2.1128 -4.2163  0.21
21 H 0.5340 -3.6440 -3.3923  0.20
22 H 2.8483 -1.9665 -3.1466  0.20
23 H 2.5693 -3.2700 -2.0314  0.21
24 H 1.8730 -1.7318 -1.6823  0.20

Results
E_tot = -426.54346 a.u.
HOMO level = -8.49 eV
Charge = 0
Orbital gap = 9.33 eV


# 2
# C18H48IO6

A 7-piece molecular cluster, C18H48IO6 overall in a non-equilibrium geometry (ωB97M-V with the def2-TZVPD basis set, OMol25).

Each line ends with the Mulliken charge.
Geometry (Å):
1 I 0.1764 -0.0205 -0.9491  -0.26
2 C 4.3956 -0.7277 -1.5950  -0.84
3 C 3.8862 -0.1856 -2.9784  0.19
4 C 3.0937 -1.3206 -3.6863  -1.07
5 O 2.9702 0.8694 -2.7808  -0.43
6 H 3.5954 -1.1878 -1.0153  -0.07
7 H 5.1210 -0.1321 -1.0408  0.34
8 H 5.0559 -1.5479 -1.8764  0.44
9 H 4.7703 0.0293 -3.5785  0.30
10 H 3.6820 -2.2300 -3.5636  0.37
11 H 2.9996 -1.3050 -4.7721  0.37
12 H 2.1096 -1.5615 -3.2844  0.14
13 H 2.4503 0.5082 -2.0592  0.04
14 C 0.8233 -4.8905 -0.6273  -1.26
15 C 0.8497 -4.2847 0.7543  0.53
16 C 2.0979 -3.5860 1.2110  -0.78
17 O -0.2690 -3.3852 0.8978  -0.42
18 H 1.3376 -4.2475 -1.3416  0.19
19 H -0.1700 -5.1583 -0.9875  0.33
20 H 1.3293 -5.8527 -0.7066  0.40
21 H 0.5503 -5.0791 1.4379  0.24
22 H 2.1308 -3.1727 2.2190  0.20
23 H 2.3664 -2.9212 0.3899  -0.07
24 H 2.8968 -4.3276 1.2111  0.45
25 H 0.0561 -2.5642 0.5213  0.16
26 C 2.7241 -0.0876 4.5774  -1.45
27 C 2.3101 0.5015 3.1678  0.70
28 C 3.5232 0.5619 2.2373  -1.34
29 O 1.2809 -0.2557 2.7491  -0.23
30 H 2.0236 0.0916 5.3930  0.34
31 H 3.6827 0.2949 4.9280  0.39
32 H 2.8307 -1.1722 4.5967  0.31
33 H 1.9593 1.5244 3.3044  0.24
34 H 3.1972 1.1712 1.3943  0.34
35 H 3.8149 -0.4248 1.8775  0.18
36 H 4.3774 1.0416 2.7150  0.47
37 H 1.0266 0.0433 1.8731  0.00
38 C -1.4809 3.6222 -2.7908  -1.21
39 C -0.0101 4.0578 -2.3710  0.39
40 C 0.1124 4.4206 -0.8792  -1.16
41 O 0.8802 3.0073 -2.7115  -0.44
42 H -1.9812 4.4804 -3.2394  0.40
43 H -1.9800 3.3237 -1.8689  0.27
44 H -1.4606 2.8190 -3.5274  0.33
45 H 0.3890 4.8446 -3.0111  0.33
46 H 0.8741 5.1951 -0.7896  0.31
47 H 0.3264 3.6038 -0.1899  0.22
48 H -0.8648 4.7705 -0.5467  0.37
49 H 0.4704 2.3157 -2.1869  0.01
50 C -4.1619 0.7698 -2.5471  -1.17
51 C -4.4282 0.2883 -1.1727  0.82
52 C -5.9309 -0.2318 -1.1670  -1.51
53 O -3.4629 -0.6621 -0.7229  -0.41
54 H -4.3452 -0.1443 -3.1118  0.38
55 H -3.1074 1.0424 -2.5890  0.07
56 H -4.7299 1.5614 -3.0359  0.37
57 H -4.4907 1.1432 -0.4994  0.18
58 H -6.2799 -0.5101 -0.1725  0.35
59 H -6.0922 -1.1052 -1.7989  0.38
60 H -6.5534 0.5098 -1.6676  0.37
61 H -2.6112 -0.2907 -0.9645  0.01
62 C -1.6334 0.9354 3.5933  -1.22
63 C -2.6405 -0.0340 2.9606  0.32
64 C -3.6453 0.6906 2.1394  -0.84
65 O -1.9587 -0.9488 2.0102  -0.31
66 H -0.9876 1.3665 2.8283  0.18
67 H -0.9961 0.5017 4.3640  0.29
68 H -2.1228 1.8242 3.9914  0.43
69 H -3.0929 -0.5381 3.8147  0.34
70 H -4.4173 0.0278 1.7486  0.23
71 H -3.1515 1.1921 1.3071  0.07
72 H -4.1688 1.5194 2.6160  0.45
73 H -1.3220 -0.3765 1.5758  0.00

Results
E_tot = -1463.77139 a.u.
HOMO level = -5.40 eV
Charge = -1
Orbital gap = 8.40 eV


# 3
# C31H22BrF12N4O3Re

C31H22BrF12N4O3Re as an isolated structure (ωB97M-V with the def2-TZVPD basis set, OMol25).
'''
# Here it is
30 H 2.0236 0.0916 5.3930  0.34
31 H 3.6827 0.2949 4.9280  0.39
32 H 2.8307 -1.1722 4.5967  0.31
33 H 1.9593 1.5244 3.3044  0.24
34 H 3.1972 1.1712 1.3943  0.34
35 H 3.8149 -0.4248 1.8775  0.18
36 H 4.3774 1.0416 2.7150  0.47
37 H 1.0266 0.0433 1.8731  0.00
38 C -1.4809 3.6222 -2.7908  -1.21
39 C -0.0101 4.0578 -2.3710  0.39
40 C 0.1124 4.4206 -0.8792  -1.16
41 O 0.8802 3.0073 -2.7115  -0.44
42 H -1.9812 4.4804 -3.2394  0.40
43 H -1.9800 3.3237 -1.8689  0.27
44 H -1.4606 2.8190 -3.5274  0.33
45 H 0.3890 4.8446 -3.0111  0.33
46 H 0.8741 5.1951 -0.7896  0.31
47 H 0.3264 3.6038 -0.1899  0.22
48 H -0.8648 4.7705 -0.5467  0.37
49 H 0.4704 2.3157 -2.1869  0.01
50 C -4.1619 0.7698 -2.5471  -1.17
51 C -4.4282 0.2883 -1.1727  0.82
52 C -5.9309 -0.2318 -1.1670  -1.51
53 O -3.4629 -0.6621 -0.7229  -0.41
54 H -4.3452 -0.1443 -3.1118  0.38
55 H -3.1074 1.0424 -2.5890  0.07
56 H -4.7299 1.5614 -3.0359  0.37
57 H -4.4907 1.1432 -0.4994  0.18
58 H -6.2799 -0.5101 -0.1725  0.35
59 H -6.0922 -1.1052 -1.7989  0.38
60 H -6.5534 0.5098 -1.6676  0.37
61 H -2.6112 -0.2907 -0.9645  0.01
62 C -1.6334 0.9354 3.5933  -1.22
63 C -2.6405 -0.0340 2.9606  0.32
64 C -3.6453 0.6906 2.1394  -0.84
65 O -1.9587 -0.9488 2.0102  -0.31
66 H -0.9876 1.3665 2.8283  0.18
67 H -0.9961 0.5017 4.3640  0.29
68 H -2.1228 1.8242 3.9914  0.43
69 H -3.0929 -0.5381 3.8147  0.34
70 H -4.4173 0.0278 1.7486  0.23
71 H -3.1515 1.1921 1.3071  0.07
72 H -4.1688 1.5194 2.6160  0.45
73 H -1.3220 -0.3765 1.5758  0.00

Results
E_tot = -1463.77139 a.u.
HOMO level = -5.40 eV
Charge = -1
Orbital gap = 8.40 eV